Excerpt:
# 1
# C5H13N

A cluster of 2 separate species, C5H13N in total in a non-equilibrium geometry (the ωB97M-V functional and the def2-TZVPD basis, the OMol25 dataset).

Geometry (Å):
C1 2.087 1.520 -0.449
C2 2.426 0.188 0.105
C3 2.394 -0.933 -0.627
H1 1.763 1.386 -1.483
H2 2.872 2.229 -0.192
H3 1.179 1.983 -0.034
H4 2.796 0.004 1.111
H5 2.719 -1.932 -0.386
H6 2.001 -0.806 -1.636
C4 -1.596 0.426 -0.420
N1 -2.789 -0.224 0.126
C5 -2.350 -1.309 1.047
H7 -0.913 0.763 0.378
H8 -1.896 1.221 -1.101
H9 -0.873 -0.187 -0.974
H10 -3.189 0.456 0.756
H11 -1.843 -0.929 1.941
H12 -3.198 -1.944 1.291
H13 -1.591 -1.914 0.549

Properties
SMILES string: C=CC.CNC
E_LUMO (eV): 1.058
Total charge: 0

***

# 2
# C5H13N2

A cluster of 2 separate species, C5H13N2 in total (the ωB97M-V functional and the def2-TZVPD basis, the OMol25 dataset).

Geometry (Å):
N1 0.574 -1.519 1.872
C1 0.531 -1.970 0.649
N2 1.471 -1.759 -0.239
H1 1.288 -0.868 2.169
H2 -0.203 -1.673 2.509
H3 -0.342 -2.524 0.343
H4 1.307 -2.036 -1.197
H5 2.132 -1.007 -0.110
C2 -0.597 1.248 0.154
C3 -0.489 0.891 -1.118
C4 -1.534 0.129 -1.876
C5 0.395 2.113 0.879
H6 -1.523 1.015 0.676
H7 0.414 1.162 -1.662
H8 -2.412 -0.061 -1.263
H9 -1.848 0.670 -2.766
H10 -1.150 -0.834 -2.226
H11 1.243 2.336 0.233
H12 0.789 1.629 1.776
H13 -0.046 3.056 1.198

Properties
E_LUMO (eV): -3.796
Total charge: +1

***

# 3
# C5H13N2

A cluster of 2 separate species, C5H13N2 in total in a non-equilibrium geometry (the ωB97M-V functional and the def2-TZVPD basis, the OMol25 dataset).

Geometry (Å):
C1 0.107 2.047 -0.355
C2 0.151 0.744 -0.197
C3 1.642 -0.407 1.318
C4 1.633 -0.959 -1.057
C5 -2.534 -0.674 -0.396
N1 1.478 0.104 -0.053
N2 -3.270 -0.094 0.517
H1 0.983 2.698 -0.382
H2 -0.833 2.558 -0.463
H3 0.871 -1.147 1.518
H4 2.622 -0.864 1.446
H5 1.533 0.412 2.026
H6 1.507 -0.536 -2.050
H7 2.616 -1.418 -0.985
H8 0.868 -1.715 -0.895
H9 -2.381 -0.201 -1.346
H10 -2.115 -1.651 -0.212
H11 -3.434 -0.529 1.417
H12 -3.660 0.824 0.362
H13 2.218 0.808 -0.213

Properties
E_LUMO (alpha / beta) (eV): -4.215 / -4.214
Total charge: +1

***

# 4
# C5H13N2

The ion C5H13N2 with charge +1 in a non-equilibrium geometry (the ωB97M-V functional and the def2-TZVPD basis, the OMol25 dataset).

Geometry (Å):
C1 0.435 -0.716 -3.187
C2 -0.136 -0.851 -1.724
C3 0.471 0.318 -0.884
C4 0.111 0.209 0.568
C5 -0.827 -0.408 1.256
N1 -1.130 0.068 2.585
N2 0.945 1.177 1.429
H1 0.890 0.269 -3.215
H2 0.944 -1.621 -3.508
H3 -0.435 -0.589 -3.825
H4 -0.071 -1.685 -1.027
H5 -1.181 -0.577 -1.881
H6 1.557 0.275 -1.000
H7 -0.059 1.232 -1.150
H8 -1.318 -1.291 0.861
H9 -1.306 -0.777 3.116
H10 -2.014 0.564 2.546
H11 1.601 1.670 0.823
H12 1.308 0.587 2.178
H13 0.326 1.788 1.962

Properties
SMILES string: CCC/C([NH3+])=C/N
E_LUMO (eV): -3.312
Total charge: +1

***

# 5
# C5H13N2

The ion C5H13N2 with charge +1 in a non-equilibrium geometry (the ωB97M-V functional and the def2-TZVPD basis, the OMol25 dataset).

Geometry (Å):
C1 -2.636 -0.832 0.066
C2 -1.132 -1.013 -0.022
C3 -0.420 0.202 0.710
C4 0.969 -0.016 0.875
C5 2.001 0.975 0.624
N1 1.936 1.732 -0.586
N2 -0.673 -1.196 -1.400
H1 -2.948 0.186 -0.184
H2 -3.185 -1.544 -0.530
H3 -2.941 -0.940 1.111
H4 -0.857 -1.880 0.565
H5 -0.890 0.308 1.698
H6 -0.575 1.144 0.174
H7 0.297 -1.513 -1.366
H8 1.307 -0.760 1.598
H9 1.908 1.656 1.483
H10 3.013 0.553 0.700
H11 1.632 2.685 -0.579
H12 2.323 1.351 -1.430
H13 -0.598 -0.285 -1.849

Properties
E_LUMO (eV): -6.927
Total charge: +1

***

# 6
# C5H13N2

A cluster of 2 separate species, C5H13N2 in total (the ωB97M-V functional and the def2-TZVPD basis, the OMol25 dataset).

Geometry (Å):
N1 -1.728 -1.607 2.535
C1 -1.232 -1.209 1.388
N2 -0.001 -1.373 1.003
H1 -1.184 -1.960 3.310
H2 -2.723 -1.522 2.675
H3 -1.896 -0.673 0.715
H4 0.319 -0.858 0.173
H5 0.680 -1.845 1.580
C2 0.681 1.292 -0.564
C3 0.571 0.488 -1.615
C4 -0.607 0.440 -2.539
C5 1.896 1.399 0.317
H6 -0.111 1.990 -0.309
H7 1.435 -0.113 -1.900
H8 -0.278 0.594 -3.564
H9 -1.098 -0.536 -2.518
H10 -1.364 1.178 -2.284
H11 2.579 0.559 0.169
Exercise:
Type out everything earlier on with every line break kept.
Written answer:
# 1
# C5H13N

A cluster of 2 separate species, C5H13N in total in a non-equilibrium geometry (the ωB97M-V functional and the def2-TZVPD basis, the OMol25 dataset).

Geometry (Å):
C1 2.087 1.520 -0.449
C2 2.426 0.188 0.105
C3 2.394 -0.933 -0.627
H1 1.763 1.386 -1.483
H2 2.872 2.229 -0.192
H3 1.179 1.983 -0.034
H4 2.796 0.004 1.111
H5 2.719 -1.932 -0.386
H6 2.001 -0.806 -1.636
C4 -1.596 0.426 -0.420
N1 -2.789 -0.224 0.126
C5 -2.350 -1.309 1.047
H7 -0.913 0.763 0.378
H8 -1.896 1.221 -1.101
H9 -0.873 -0.187 -0.974
H10 -3.189 0.456 0.756
H11 -1.843 -0.929 1.941
H12 -3.198 -1.944 1.291
H13 -1.591 -1.914 0.549

Properties
SMILES string: C=CC.CNC
E_LUMO (eV): 1.058
Total charge: 0

***

# 2
# C5H13N2

A cluster of 2 separate species, C5H13N2 in total (the ωB97M-V functional and the def2-TZVPD basis, the OMol25 dataset).

Geometry (Å):
N1 0.574 -1.519 1.872
C1 0.531 -1.970 0.649
N2 1.471 -1.759 -0.239
H1 1.288 -0.868 2.169
H2 -0.203 -1.673 2.509
H3 -0.342 -2.524 0.343
H4 1.307 -2.036 -1.197
H5 2.132 -1.007 -0.110
C2 -0.597 1.248 0.154
C3 -0.489 0.891 -1.118
C4 -1.534 0.129 -1.876
C5 0.395 2.113 0.879
H6 -1.523 1.015 0.676
H7 0.414 1.162 -1.662
H8 -2.412 -0.061 -1.263
H9 -1.848 0.670 -2.766
H10 -1.150 -0.834 -2.226
H11 1.243 2.336 0.233
H12 0.789 1.629 1.776
H13 -0.046 3.056 1.198

Properties
E_LUMO (eV): -3.796
Total charge: +1

***

# 3
# C5H13N2

A cluster of 2 separate species, C5H13N2 in total in a non-equilibrium geometry (the ωB97M-V functional and the def2-TZVPD basis, the OMol25 dataset).

Geometry (Å):
C1 0.107 2.047 -0.355
C2 0.151 0.744 -0.197
C3 1.642 -0.407 1.318
C4 1.633 -0.959 -1.057
C5 -2.534 -0.674 -0.396
N1 1.478 0.104 -0.053
N2 -3.270 -0.094 0.517
H1 0.983 2.698 -0.382
H2 -0.833 2.558 -0.463
H3 0.871 -1.147 1.518
H4 2.622 -0.864 1.446
H5 1.533 0.412 2.026
H6 1.507 -0.536 -2.050
H7 2.616 -1.418 -0.985
H8 0.868 -1.715 -0.895
H9 -2.381 -0.201 -1.346
H10 -2.115 -1.651 -0.212
H11 -3.434 -0.529 1.417
H12 -3.660 0.824 0.362
H13 2.218 0.808 -0.213

Properties
E_LUMO (alpha / beta) (eV): -4.215 / -4.214
Total charge: +1

***

# 4
# C5H13N2

The ion C5H13N2 with charge +1 in a non-equilibrium geometry (the ωB97M-V functional and the def2-TZVPD basis, the OMol25 dataset).

Geometry (Å):
C1 0.435 -0.716 -3.187
C2 -0.136 -0.851 -1.724
C3 0.471 0.318 -0.884
C4 0.111 0.209 0.568
C5 -0.827 -0.408 1.256
N1 -1.130 0.068 2.585
N2 0.945 1.177 1.429
H1 0.890 0.269 -3.215
H2 0.944 -1.621 -3.508
H3 -0.435 -0.589 -3.825
H4 -0.071 -1.685 -1.027
H5 -1.181 -0.577 -1.881
H6 1.557 0.275 -1.000
H7 -0.059 1.232 -1.150
H8 -1.318 -1.291 0.861
H9 -1.306 -0.777 3.116
H10 -2.014 0.564 2.546
H11 1.601 1.670 0.823
H12 1.308 0.587 2.178
H13 0.326 1.788 1.962

Properties
SMILES string: CCC/C([NH3+])=C/N
E_LUMO (eV): -3.312
Total charge: +1

***

# 5
# C5H13N2

The ion C5H13N2 with charge +1 in a non-equilibrium geometry (the ωB97M-V functional and the def2-TZVPD basis, the OMol25 dataset).

Geometry (Å):
C1 -2.636 -0.832 0.066
C2 -1.132 -1.013 -0.022
C3 -0.420 0.202 0.710
C4 0.969 -0.016 0.875
C5 2.001 0.975 0.624
N1 1.936 1.732 -0.586
N2 -0.673 -1.196 -1.400
H1 -2.948 0.186 -0.184
H2 -3.185 -1.544 -0.530
H3 -2.941 -0.940 1.111
H4 -0.857 -1.880 0.565
H5 -0.890 0.308 1.698
H6 -0.575 1.144 0.174
H7 0.297 -1.513 -1.366
H8 1.307 -0.760 1.598
H9 1.908 1.656 1.483
H10 3.013 0.553 0.700
H11 1.632 2.685 -0.579
H12 2.323 1.351 -1.430
H13 -0.598 -0.285 -1.849

Properties
E_LUMO (eV): -6.927
Total charge: +1

***

# 6
# C5H13N2

A cluster of 2 separate species, C5H13N2 in total (the ωB97M-V functional and the def2-TZVPD basis, the OMol25 dataset).

Geometry (Å):
N1 -1.728 -1.607 2.535
C1 -1.232 -1.209 1.388
N2 -0.001 -1.373 1.003
H1 -1.184 -1.960 3.310
H2 -2.723 -1.522 2.675
H3 -1.896 -0.673 0.715
H4 0.319 -0.858 0.173
H5 0.680 -1.845 1.580
C2 0.681 1.292 -0.564
C3 0.571 0.488 -1.615
C4 -0.607 0.440 -2.539
C5 1.896 1.399 0.317
H6 -0.111 1.990 -0.309
H7 1.435 -0.113 -1.900
H8 -0.278 0.594 -3.564
H9 -1.098 -0.536 -2.518
H10 -1.364 1.178 -2.284
H11 2.579 0.559 0.169